12. RelatedIdentifier (MA)

Identifiers of related resources. These must be globally unique identifiers (occurrences: 0-n).

Allowed values, examples, other constraints

Free text.

Use this property to indicate subsets of properties, as appropriate.


Mandatory when applicable property in OpenAIRE instead of recommended in DataCite.

Please refer to Related publications and datasets information for specific details on how to link datasets and publications.

12.1 relatedIdentifierType (M)

The type of the RelatedIdentifier (occurrences: 1).

Allowed values, examples, other constraints

If 12. RelatedIdentifier (MA) is used, 12.1 relatedIdentifierType (M) is mandatory.

Controlled List Values:

  • ARK
  • arXiv
  • bibcode
  • DOI
  • EAN13
  • Handle
  • ISBN
  • ISSN
  • ISTC
  • LSID
  • PMID
  • PURL
  • UPC
  • URL
  • URN

12.2 relationType (M)

Description of the relationship of the resource being registered (A) and the related resource (B) (occurrences: 1).

Allowed values, examples, other constraints

If 12. RelatedIdentifier (MA) is used, 12.2 relationType (M) is mandatory.

Controlled List Values:

  • IsCitedBy (indicates that B includes A in a citation)
  • Cites (indicates that A includes B in a citation)
  • IsSupplementTo (indicates that A is a supplement to B)
  • IsSupplementedBy (indicates that B is a supplement to A)
  • IsContinuedBy (indicates A is continued by the work B)
  • Continues (indicates A is a continuation of the work B)
  • HasMetadata (indicates resource A has additional metadata B)
  • IsMetadataFor (indicates additional metadata A for a resource B)
  • IsNewVersionOf (indicates A is a new edition of B, where the new edition has been modified or updated)
  • IsPreviousVersionOf (indicates A is a previous edition of B)
  • IsPartOf (indicates A is a portion of B;may be used for elements of a series)
  • HasPart (indicates A includes the part B)
  • IsReferencedBy (indicates A is used as a source of information by B)
  • References (indicates B is used as a source of information for A)
  • IsDocumentedBy (indicates B is documentation about/explaining A)
  • Documents (indicates A is documentation about/explaining B)
  • isCompiledBy (indicates B is used to compile or create A)
  • Compiles (indicates B is the result of a compile or creation event using A)
  • IsVariantFormOf (indicates A is a variant or different form of B, e.g. calculated or calibrated form or different packaging)
  • IsOriginalFormOf (indicates A is the original form of B)
  • IsIdenticalTo (indicates that A is identical to B, for use when there is a need to register two separate instances of the same resource)
  • IsReviewedBy (indicates that A is reviewed by B)
  • Reviews (indicates that A is a review of B)
  • IsDerivedFrom (indicates B is a source upon which A is based)
  • IsSourceOf (indicates A is a source upon which B is based)

# Next to the page, the page also holds data records
1.
An optimized crystal structure of NdCd11Hg, computed with GGA-PBE.

a b c (Å): 7.6734 7.6734 7.6650
angles (deg): 98.83 98.83 133.68
With the nearest neighbours (Å) after each atom.
Fractional coordinates of all 13 atoms:
Nd 0.0000 0.0000 0.0000  18 Cd 3.51-3.84, 2 Hg 3.84
Cd 0.0000 0.0000 0.5000  8 Cd 2.94-3.09, 2 Hg 3.02
Cd 0.0000 0.5000 0.0000  10 Cd 2.92-3.08
Cd 0.0030 0.6500 0.6490  7 Cd 2.95-3.30, 1 Hg 3.10
Cd 0.2840 0.4975 0.7872  7 Cd 2.92-3.23, 1 Hg 2.95
Cd 0.3500 0.9970 0.3510  7 Cd 2.95-3.30, 1 Hg 3.10
Cd 0.4975 0.2840 0.7872  7 Cd 2.92-3.23, 1 Hg 2.95
Cd 0.5000 0.0000 0.0000  10 Cd 2.92-3.08
Cd 0.5025 0.7160 0.2128  7 Cd 2.92-3.23, 1 Hg 2.95
Cd 0.6500 0.0030 0.6490  7 Cd 2.95-3.30, 1 Hg 3.10
Cd 0.7160 0.5025 0.2128  7 Cd 2.92-3.23, 1 Hg 2.95
Cd 0.9970 0.3500 0.3510  7 Cd 2.95-3.30, 1 Hg 3.10
Hg 0.5000 0.5000 0.5000  10 Cd 2.95-3.10

## Properties
The symmetry is C2/m (12). The formation energy comes out at -104.6 meV/atom. Its final energy is -16.5 eV for the cell shown. As for the crystal system: monoclinic.


2.
An optimized crystal structure of Cu2TeHC, computed with GGA-PBE.

a b c (Å): 3.3954 3.3954 5.9908
angles (deg): 90.00 90.00 90.00
With the nearest neighbours (Å) after each atom.
Fractional coordinates of all 5 atoms:
Cu 0.0000 0.5000 0.0000  2 H 1.70
Cu 0.5000 0.0000 0.0000  2 H 1.70
Te 0.0000 0.0000 0.5000  4 C 2.40
H 0.0000 0.0000 0.0000  4 Cu 1.70
C 0.5000 0.5000 0.5000  4 Te 2.40

## Properties
The symmetry is P4/mmm (123). Its final energy is -18.3 eV for the cell shown. As for the crystal system: tetragonal.


3.
An optimized crystal structure of BaGeN, computed with GGA-PBE.

a b c (Å): 5.7819 10.2890 4.7866
angles (deg): 90.00 90.00 90.00
With the nearest neighbours (Å) after each atom.
Fractional coordinates of all 12 atoms:
Ba 0.0000 0.1909 0.2500  4 N 2.78-2.90
Ba 0.0000 0.8091 0.7500  4 N 2.78-2.90
Ba 0.5000 0.3091 0.7500  4 N 2.78-2.90
Ba 0.5000 0.6909 0.2500  4 N 2.78-2.90
Ge 0.0000 0.5000 0.0000  2 N 2.14, 2 Ge 2.39
Ge 0.0000 0.5000 0.5000  2 N 2.14, 2 Ge 2.39
Ge 0.5000 0.0000 0.0000  2 N 2.14, 2 Ge 2.39
Ge 0.5000 0.0000 0.5000  2 N 2.14, 2 Ge 2.39
N 0.0000 0.3277 0.7500  2 Ge 2.14
N 0.0000 0.6723 0.2500  2 Ge 2.14
N 0.5000 0.1723 0.2500  2 Ge 2.14
N 0.5000 0.8277 0.7500  2 Ge 2.14

## Properties
The polymorph energy (0 for the lowest one) is 473 meV per atom. The symmetry is Cmcm (63). Its uncorrected formation energy is -19 meV/atom. Its final energy is -59.7 eV for the cell shown. As for the crystal system: orthorhombic.


4.
An optimized crystal structure of Sm4ZnRh, computed with GGA-PBE.

a b c (Å): 7.2814 7.0527 6.9646
angles (deg): 90.00 92.76 90.00
With the nearest neighbours (Å) after each atom.
Fractional coordinates of all 12 atoms:
Sm 0.1512 0.1554 0.1721  2 Rh 2.81-2.90, 1 Zn 3.06
Sm 0.1512 0.3446 0.6721  2 Rh 2.81-2.90, 1 Zn 3.06
Sm 0.3243 0.6529 0.1403  1 Rh 2.73, 2 Zn 2.95-2.96
Sm 0.3243 0.8471 0.6403  1 Rh 2.73, 2 Zn 2.95-2.96
Sm 0.6757 0.1529 0.3597  1 Rh 2.73, 2 Zn 2.95-2.96
# Back to the page


Cites and IsCitedBy is specifically for when a publication/dataset directly cites another publication/dataset in its references, whereas References and IsReferencedBy is for when a dataset/publication is used as a source of information without a direct citation.

OpenAIRE encourages including minimum one of above listed relation types, but allows usage of all DataCite’s relation types.

12.3 relatedMetadataScheme (O)

The name of the scheme (occurrences: 0-1).

Allowed values, examples, other constraints

Use only with this relation pair: (HasMetadata/IsMetadataFor).

12.1 schemeURI (O)

The URI of the relatedMetadataScheme (occurrences: 0-1).

Allowed values, examples, other constraints

Use only with this relation pair: (HasMetadata/IsMetadataFor).

12.1 schemeType (O)

The type of the relatedMetadataScheme, linked with the schemeURI (occurrences: 0-1).

Allowed values, examples, other constraints

Use only with this relation pair: (HasMetadata/IsMetadataFor).

Examples: XSD, DDT, Turtle


An example:
